### Assignment
Type out the rows further down word for word.

### Source
........
# 1
Theoretical X-ray diffraction stick pattern
Compound: RbZnI3
Radiation: Cu Ka
Structure: a DFT-relaxed cell (PBE, Alexandria)
Peak positions follow from Bragg's law for the DFT cell and can differ from measured ones.

Crystal structure
```
data_RbZnI3
_chemical_formula_sum 'Rb4 Zn4 I12'
_symmetry_space_group_name_H-M 'C 1 2/m 1'
_symmetry_Int_Tables_number 12
_cell_length_a 13.660
_cell_length_b 10.859
_cell_length_c 6.137
_cell_angle_alpha 90.00
_cell_angle_beta 93.13
_cell_angle_gamma 90.00
loop_
_symmetry_equiv_pos_as_xyz
'x,y,z'
'-x,-y,-z'
'-x,y,-z'
'x,-y,z'
'x+1/2,y+1/2,z'
'-x+1/2,-y+1/2,-z'
'-x+1/2,y+1/2,-z'
'x+1/2,-y+1/2,z'
loop_
_atom_site_label
_atom_site_fract_x
_atom_site_fract_y
_atom_site_fract_z
_atom_site_occupancy
Rb1 0.195 0.000 0.267 1
Zn1 0.000 0.335 0.500 1
I1 0.101 0.500 0.272 1
I2 0.126 0.208 0.740 1
```

Top 8 peaks for 10 to 90 degrees two-theta, low angle first:
| 2θ (°) | I (rel.) | hkl |
| --- | --- | --- |
| 25.10 | 100.0 | 2 2 -1 |
| 25.93 | 54.9 | 2 2 1 |
| 26.13 | 15.3 | 4 0 0 |
| 26.35 | 26.0 | 3 1 1 |
| 29.15 | 25.9 | 0 0 2 |
| 38.40 | 13.7 | 4 0 -2 |
| 41.45 | 20.3 | 5 3 0 |
| 44.60 | 15.3 | 0 4 2 |

***

# 2
Theoretical X-ray diffraction stick pattern
Compound: AlTlSe3
Radiation: Cu Ka
Structure: a DFT-relaxed cell (PBE, Alexandria)
Peak positions follow from Bragg's law for the DFT cell and can differ from measured ones.

Crystal structure
```
data_AlTlSe3
_chemical_formula_sum 'Al4 Tl4 Se12'
_symmetry_space_group_name_H-M 'C m c 21'
_symmetry_Int_Tables_number 36
_cell_length_a 5.422
_cell_length_b 18.292
_cell_length_c 6.601
_cell_angle_alpha 90.00
_cell_angle_beta 90.00
_cell_angle_gamma 90.00
loop_
_symmetry_equiv_pos_as_xyz
'x,y,z'
'-x,-y,z+1/2'
'-x,y,z'
'x,-y,z+1/2'
'x+1/2,y+1/2,z'
'-x+1/2,-y+1/2,z+1/2'
'-x+1/2,y+1/2,z'
'x+1/2,-y+1/2,z+1/2'
loop_
_atom_site_label
_atom_site_fract_x
_atom_site_fract_y
_atom_site_fract_z
_atom_site_occupancy
Al1 0.000 0.059 0.000 1
Tl1 0.000 0.331 0.105 1
Se1 0.000 0.060 0.638 1
Se2 0.241 0.342 0.619 1
```

Top 8 peaks for 10 to 90 degrees two-theta, low angle first:
| 2θ (°) | I (rel.) | hkl |
| --- | --- | --- |
| 19.41 | 37.8 | 0 4 0 |
| 21.76 | 64.7 | 1 1 1 |
| 21.94 | 98.1 | 1 3 0 |
| 27.02 | 88.3 | 0 0 2 |
| 32.49 | 51.5 | 1 5 1 |
| 35.07 | 54.3 | 1 3 2 |
| 37.18 | 100.0 | 2 2 1 |
| 54.65 | 35.9 | 2 2 3 |

***

# 3
Theoretical X-ray diffraction stick pattern
Compound: Sc3GaAg3S8
Radiation: Cu Ka
Structure: a DFT-relaxed cell (PBE, Alexandria)
Peak positions follow from Bragg's law for the DFT cell and can differ from measured ones.

Crystal structure
```
data_Sc3GaAg3S8
_chemical_formula_sum 'Sc6 Ga2 Ag6 S16'
_symmetry_space_group_name_H-M 'C 1 2/m 1'
_symmetry_Int_Tables_number 12
_cell_length_a 12.942
_cell_length_b 7.477
_cell_length_c 7.635
_cell_angle_alpha 90.00
_cell_angle_beta 124.84
_cell_angle_gamma 90.00
loop_
_symmetry_equiv_pos_as_xyz
'x,y,z'
'-x,-y,-z'
'-x,y,-z'
'x,-y,z'
'x+1/2,y+1/2,z'
'-x+1/2,-y+1/2,-z'
'-x+1/2,y+1/2,-z'
'x+1/2,-y+1/2,z'
loop_
_atom_site_label
_atom_site_fract_x
_atom_site_fract_y
_atom_site_fract_z
_atom_site_occupancy
Sc1 0.000 0.000 0.000 1
Sc2 0.250 0.250 0.000 1
Ga1 0.000 0.500 0.000 1
Ag1 0.000 0.500 0.500 1
Ag2 0.250 0.250 0.500 1
S1 0.004 0.261 0.775 1
S2 0.235 0.500 0.224 1
S3 0.241 0.000 0.219 1
```

Top 8 peaks for 10 to 90 degrees two-theta, low angle first:
| 2θ (°) | I (rel.) | hkl |
| --- | --- | --- |
| 14.47 | 41.1 | 1 1 0 |
| 29.18 | 26.4 | 4 0 -2 |
| 33.56 | 100.0 | 2 2 -2 |
| 33.75 | 49.3 | 4 0 0 |
| 47.66 | 16.4 | 4 0 -4 |
| 47.92 | 32.6 | 2 2 2 |
| 48.73 | 48.8 | 0 4 0 |
| 60.58 | 15.9 | 4 4 0 |
........

### Written answer
# 1
Theoretical X-ray diffraction stick pattern
Compound: RbZnI3
Radiation: Cu Ka
Structure: a DFT-relaxed cell (PBE, Alexandria)
Peak positions follow from Bragg's law for the DFT cell and can differ from measured ones.

Crystal structure
```
data_RbZnI3
_chemical_formula_sum 'Rb4 Zn4 I12'
_symmetry_space_group_name_H-M 'C 1 2/m 1'
_symmetry_Int_Tables_number 12
_cell_length_a 13.660
_cell_length_b 10.859
_cell_length_c 6.137
_cell_angle_alpha 90.00
_cell_angle_beta 93.13
_cell_angle_gamma 90.00
loop_
_symmetry_equiv_pos_as_xyz
'x,y,z'
'-x,-y,-z'
'-x,y,-z'
'x,-y,z'
'x+1/2,y+1/2,z'
'-x+1/2,-y+1/2,-z'
'-x+1/2,y+1/2,-z'
'x+1/2,-y+1/2,z'
loop_
_atom_site_label
_atom_site_fract_x
_atom_site_fract_y
_atom_site_fract_z
_atom_site_occupancy
Rb1 0.195 0.000 0.267 1
Zn1 0.000 0.335 0.500 1
I1 0.101 0.500 0.272 1
I2 0.126 0.208 0.740 1
```

Top 8 peaks for 10 to 90 degrees two-theta, low angle first:
| 2θ (°) | I (rel.) | hkl |
| --- | --- | --- |
| 25.10 | 100.0 | 2 2 -1 |
| 25.93 | 54.9 | 2 2 1 |
| 26.13 | 15.3 | 4 0 0 |
| 26.35 | 26.0 | 3 1 1 |
| 29.15 | 25.9 | 0 0 2 |
| 38.40 | 13.7 | 4 0 -2 |
| 41.45 | 20.3 | 5 3 0 |
| 44.60 | 15.3 | 0 4 2 |

***

# 2
Theoretical X-ray diffraction stick pattern
Compound: AlTlSe3
Radiation: Cu Ka
Structure: a DFT-relaxed cell (PBE, Alexandria)
Peak positions follow from Bragg's law for the DFT cell and can differ from measured ones.

Crystal structure
```
data_AlTlSe3
_chemical_formula_sum 'Al4 Tl4 Se12'
_symmetry_space_group_name_H-M 'C m c 21'
_symmetry_Int_Tables_number 36
_cell_length_a 5.422
_cell_length_b 18.292
_cell_length_c 6.601
_cell_angle_alpha 90.00
_cell_angle_beta 90.00
_cell_angle_gamma 90.00
loop_
_symmetry_equiv_pos_as_xyz
'x,y,z'
'-x,-y,z+1/2'
'-x,y,z'
'x,-y,z+1/2'
'x+1/2,y+1/2,z'
'-x+1/2,-y+1/2,z+1/2'
'-x+1/2,y+1/2,z'
'x+1/2,-y+1/2,z+1/2'
loop_
_atom_site_label
_atom_site_fract_x
_atom_site_fract_y
_atom_site_fract_z
_atom_site_occupancy
Al1 0.000 0.059 0.000 1
Tl1 0.000 0.331 0.105 1
Se1 0.000 0.060 0.638 1
Se2 0.241 0.342 0.619 1
```

Top 8 peaks for 10 to 90 degrees two-theta, low angle first:
| 2θ (°) | I (rel.) | hkl |
| --- | --- | --- |
| 19.41 | 37.8 | 0 4 0 |
| 21.76 | 64.7 | 1 1 1 |
| 21.94 | 98.1 | 1 3 0 |
| 27.02 | 88.3 | 0 0 2 |
| 32.49 | 51.5 | 1 5 1 |
| 35.07 | 54.3 | 1 3 2 |
| 37.18 | 100.0 | 2 2 1 |
| 54.65 | 35.9 | 2 2 3 |

***

# 3
Theoretical X-ray diffraction stick pattern
Compound: Sc3GaAg3S8
Radiation: Cu Ka
Structure: a DFT-relaxed cell (PBE, Alexandria)
Peak positions follow from Bragg's law for the DFT cell and can differ from measured ones.

Crystal structure
```
data_Sc3GaAg3S8
_chemical_formula_sum 'Sc6 Ga2 Ag6 S16'
_symmetry_space_group_name_H-M 'C 1 2/m 1'
_symmetry_Int_Tables_number 12
_cell_length_a 12.942
_cell_length_b 7.477
_cell_length_c 7.635
_cell_angle_alpha 90.00
_cell_angle_beta 124.84
_cell_angle_gamma 90.00
loop_
_symmetry_equiv_pos_as_xyz
'x,y,z'
'-x,-y,-z'
'-x,y,-z'
'x,-y,z'
'x+1/2,y+1/2,z'
'-x+1/2,-y+1/2,-z'
'-x+1/2,y+1/2,-z'
'x+1/2,-y+1/2,z'
loop_
_atom_site_label
_atom_site_fract_x
_atom_site_fract_y
_atom_site_fract_z
_atom_site_occupancy
Sc1 0.000 0.000 0.000 1
Sc2 0.250 0.250 0.000 1
Ga1 0.000 0.500 0.000 1
Ag1 0.000 0.500 0.500 1
Ag2 0.250 0.250 0.500 1
S1 0.004 0.261 0.775 1
S2 0.235 0.500 0.224 1
S3 0.241 0.000 0.219 1
```

Top 8 peaks for 10 to 90 degrees two-theta, low angle first:
| 2θ (°) | I (rel.) | hkl |
| --- | --- | --- |
| 14.47 | 41.1 | 1 1 0 |
| 29.18 | 26.4 | 4 0 -2 |
| 33.56 | 100.0 | 2 2 -2 |
| 33.75 | 49.3 | 4 0 0 |
| 47.66 | 16.4 | 4 0 -4 |
| 47.92 | 32.6 | 2 2 2 |
| 48.73 | 48.8 | 0 4 0 |
| 60.58 | 15.9 | 4 4 0 |